Version Control with Git: Terminal Essentials

Git is a popular version control system that has revolutionized the way programmers work. Git empowers developers to work collaboratively on projects, allowing them to track changes and work on different versions of a file simultaneously. In this blog post, we will explore three essential Git commands you need to know to manage your coding projects effectively. We will cover initializing a Git repository from the command line, adding, committing, and pushing changes using Git commands, and resolving merge conflicts and viewing commit history. These commands are not only useful in version control but also essential skills to enhance your terminal prowess.

Initializing a Git repository from the command line

Before Git, developers used to create folders and files, work on them, and save them without version control systems. Git has made it easy to create repositories, which are dedicated folders for all your project files. To initialize a new Git repository, navigate to the project folder in your terminal, and run ‘git init’. Git will create a hidden folder ‘.git’ within your project folder where it stores all the information about your repository. Now you are ready to start tracking changes using Git.

Adding, committing, and pushing changes using Git commands

Once you have a Git repository, the next step is to start adding files and tracking changes. To add a file to the staging area, you run ‘git add [filename]’. The staging area is where Git groups the changes you want to commit. Once you have added the files you want to commit, you run ‘git commit -m “[Add commit message]”‘. The commit message should be a brief description of the changes you have made. Finally, you push the changes to your remote repository using ‘git push’. The push command sends your changes to the remote repository, allowing others to access them and collaborate with you.

Resolving merge conflicts and viewing commit history

One of the significant advantages of Git is the ability to work on different versions of a file simultaneously. However, this can lead to conflicts when two or more users make changes to the same file. Git provides conflict resolution tools to help you merge changes and resolve conflicts seamlessly. When a conflict occurs, Git marks the file and highlights the conflicting sections. You can then use a merge tool or resolve the conflict manually. To view the history of commits in your repository, use the ‘git log’ command, which displays a list of all the commits with their commit messages and other details.

- - -
Below is C35H53N4OP2STi as an isolated structure in a non-equilibrium geometry, with properties calculated with ωB97M-V/def2-TZVPD.

Structure (XYZ):
```
97
Properties=species:S:1:pos:R:3:forces:R:3:lowdin_charge:R:1
C -1.2126 -1.7066 -2.1234 0.31 -0.83 -0.41 -0.371
C 0.8089 -2.7718 -1.3613 -0.26 0.39 0.06 -0.358
C -1.4237 -2.6705 -3.1044 0.01 0.50 0.44 -0.067
C 0.5594 -3.8228 -2.3173 -0.36 -0.06 -0.34 -0.034
C -0.5179 -3.7643 -3.1727 0.46 0.07 0.40 -0.070
H -2.2840 -2.5947 -3.7743 0.33 -0.04 0.26 0.107
H 1.2731 -4.6505 -2.3670 -0.29 0.31 0.02 0.113
H -0.6768 -4.5593 -3.9101 0.08 0.33 0.32 0.111
N -0.1601 -1.7587 -1.2516 0.04 -0.15 -0.26 -0.029
P -2.3398 -0.2393 -0.1041 -1.90 -0.42 -0.40 1.105
P 2.3690 -1.1705 0.1984 1.83 -0.61 -0.33 1.032
C -2.1928 -0.5642 -1.9377 -0.02 0.30 0.09 -0.244
H -1.7906 0.3629 -2.3810 -0.15 -0.41 0.10 0.064
H -3.1520 -0.7829 -2.4330 0.37 0.09 0.24 0.088
C 1.9744 -2.7154 -0.5878 -0.26 0.13 -0.16 -0.260
H 2.7359 -3.4851 -0.7548 -0.32 0.29 0.11 0.071
C 3.5215 -0.2164 -1.0401 -0.10 -0.22 0.16 -0.634
C 3.4002 -1.5654 1.7601 -0.06 -0.04 -0.23 -0.659
C -3.2891 1.4075 0.1102 0.07 -0.24 -0.11 -0.657
C -3.4251 -1.7260 0.4659 0.00 0.17 -0.14 -0.630
C 3.5512 1.2825 -0.6730 0.04 0.04 0.02 -0.100
H 4.1926 1.4704 0.2023 -0.24 -0.05 -0.34 0.068
H 3.9611 1.8670 -1.5194 -0.15 -0.21 0.32 0.091
H 2.5477 1.6671 -0.4370 0.38 -0.06 -0.07 0.033
C 4.9649 -0.7447 -1.1380 0.11 0.01 -0.03 -0.097
H 5.5521 -0.5564 -0.2248 -0.23 -0.07 -0.39 0.066
H 4.9864 -1.8255 -1.3599 -0.02 0.41 0.07 0.084
H 5.4772 -0.2251 -1.9712 -0.21 -0.19 0.31 0.095
C 2.8773 -0.4396 -2.4295 -0.02 0.01 -0.09 -0.112
H 3.2826 0.3017 -3.1446 -0.09 -0.27 0.27 0.088
H 3.1080 -1.4500 -2.8035 -0.08 0.38 0.13 0.089
H 1.7825 -0.3473 -2.4116 0.42 -0.09 -0.06 0.037
C 4.0768 -0.2863 2.2884 0.11 0.06 0.02 -0.100
H 3.3426 0.5288 2.4137 0.35 -0.31 -0.03 0.028
H 4.5238 -0.4952 3.2785 -0.16 0.05 -0.37 0.094
H 4.8855 0.0675 1.6291 -0.32 -0.16 0.30 0.062
C 2.4469 -2.0891 2.8468 -0.01 -0.08 0.08 -0.121
H 1.7900 -1.2913 3.2227 0.29 -0.25 -0.14 0.024
H 1.8246 -2.9185 2.4728 0.25 0.25 0.15 0.082
H 3.0477 -2.4634 3.6971 -0.22 0.13 -0.32 0.099
C 4.4362 -2.6764 1.4864 0.07 -0.07 0.04 -0.088
H 5.1739 -2.4069 0.7185 -0.30 -0.12 0.33 0.057
H 4.9866 -2.8848 2.4234 -0.21 0.08 -0.35 0.093
H 3.9344 -3.6095 1.1798 0.19 0.35 0.13 0.079
C -3.8746 -1.5035 1.9246 -0.09 -0.03 0.02 -0.088
H -4.3483 -2.4315 2.2947 0.19 0.36 -0.14 0.098
H -3.0278 -1.2727 2.5894 -0.31 -0.06 -0.20 0.066
H -4.6225 -0.6974 2.0035 0.25 -0.34 -0.03 0.068
C -2.5932 -3.0294 0.3753 0.01 -0.07 0.04 -0.079
H -2.4013 -3.3149 -0.6701 -0.07 0.08 0.40 0.078
H -1.6302 -2.9691 0.8965 -0.40 -0.13 -0.23 0.048
H -3.1856 -3.8367 0.8448 0.23 0.31 -0.18 0.102
C -4.6642 -1.9428 -0.4303 -0.11 -0.04 -0.02 -0.082
H -5.2101 -2.8260 -0.0496 0.21 0.33 -0.14 0.099
H -5.3634 -1.0954 -0.4272 0.27 -0.37 -0.01 0.058
H -4.3793 -2.1657 -1.4720 -0.12 0.06 0.41 0.077
C -2.5157 2.4807 -0.6846 -0.05 0.11 0.00 -0.112
H -2.5089 2.2849 -1.7705 0.00 0.09 0.42 0.081
- - -


In this blog post, we have covered three essential Git commands that every developer should know to manage their projects effectively. Initializing a Git repository, adding, committing, and pushing changes, resolving merge conflicts, and viewing commit history are some of the fundamental skills you need to enhance your coding abilities. Git is a powerful tool that allows you to work collaboratively with other users, track changes, and revert to previous versions of your files quickly. By mastering these Git essentials, you are on your way to becoming a pro in terminal and version control.